2022 (2) L.A.R. 298 = (2022) Law Today Live Doc. Id. 16981
Reserved on: 01.07.2022 Pronounced on: 06.07.2022
Mr. Ashish Aggarwal, Sr. Advocate with Mr. Mukul Aggarwal, Advocate for the petitioners.
Mr. Deepak Grewal, DAG, Haryana.
Punjab Land Revenue Act, 1887 (XVII of 1887), Section 34 -- Mutation – Civil Court decree – Duty of Revenue officers -- It is duty of revenue officials to incorporate the decree in the revenue record in letter and spirit and the impugned order dismissing the application for entering the mutations, cannot be upheld in any manner -- Petition allowed, Naib Tehsildar-cum-Assistant Collector 2nd Grade, directed to sanction the mutations in terms of the Civil Court decree in letter and spirit, within a period of 15 days.
(Para 12)
Cases referred:
1. Sube Singh Vs. Financial Commissioner, Revenue, Haryana, 2001 (4) RCR (Civil) 766.
Data records, as found in the file:
........
Er3Al5Zn6: computed powder diffraction line list (Cu Kα, 1.54184 Å), based on a cell relaxed with GGA-PBE.
Lines closer than 0.1° are merged.

Structural model:
```
data_Er3Al5Zn6
_cell_length_a 4.233
_cell_length_b 12.361
_cell_length_c 9.725
_cell_angle_alpha 90.00
_cell_angle_beta 90.00
_cell_angle_gamma 90.00
_symmetry_space_group_name_H-M 'P m m n'
_symmetry_Int_Tables_number 59
loop_
_symmetry_equiv_pos_as_xyz
'x,y,z'
'-x,-y,-z'
'-x+1/2,-y+1/2,z'
'x+1/2,y+1/2,-z'
'x+1/2,-y,-z'
'-x+1/2,y,z'
'-x,y+1/2,-z'
'x,-y+1/2,z'
loop_
_atom_site_label
_atom_site_fract_x
_atom_site_fract_y
_atom_site_fract_z
_atom_site_occupancy
Er1 0.250 0.056 0.249 1
Er2 0.250 0.750 0.248 1
Al1 0.250 0.091 0.886 1
Al2 0.250 0.603 0.522 1
Al3 0.250 0.750 0.745 1
Zn1 0.250 0.095 0.627 1
Zn2 0.250 0.250 0.055 1
Zn3 0.250 0.250 0.452 1
Zn4 0.250 0.613 0.969 1
```

Principal peaks in the range 2θ = 10–90°, sorted by position:
- (1 0 1), 22.9 deg, I 31
- (0 3 1), 23.4 deg, I 19
- (1 3 0), 30.3 deg, I 18
- (1 0 3), 34.9 deg, I 33
- (0 3 3), 35.2 deg, I 32
- (1 3 2), 35.6 deg, I 100
- (1 4 1), 37.2 deg, I 21
- (2 0 0), 42.7 deg, I 30
- (0 6 0), 44.0 deg, I 15
- (2 3 3), 56.5 deg, I 18
- (1 7 4), 69.5 deg, I 18
- (3 3 2), 73.6 deg, I 14

---

Sr3W3N5: computed powder diffraction line list (Cu Kα, 1.54184 Å), based on a cell relaxed with GGA-PBE.
Lines closer than 0.1° are merged.

Structural model:
```
data_Sr3W3N5
_cell_length_a 6.149
_cell_length_b 7.970
_cell_length_c 8.402
_cell_angle_alpha 108.39
_cell_angle_beta 103.29
_cell_angle_gamma 103.83
_symmetry_space_group_name_H-M 'P -1'
_symmetry_Int_Tables_number 2
loop_
_symmetry_equiv_pos_as_xyz
'x,y,z'
'-x,-y,-z'
loop_
_atom_site_label
_atom_site_fract_x
_atom_site_fract_y
_atom_site_fract_z
_atom_site_occupancy
Sr1 0.152 0.355 0.385 1
Sr2 0.178 0.182 0.733 1
Sr3 0.253 0.949 0.101 1
W1 0.223 0.520 0.094 1
W2 0.403 0.807 0.458 1
W3 0.412 0.623 0.824 1
N1 0.101 0.557 0.865 1
N2 0.222 0.249 0.064 1
N3 0.264 0.017 0.431 1
N4 0.312 0.722 0.631 1
N5 0.498 0.583 0.334 1
```

Principal peaks in the range 2θ = 10–90°, sorted by position:
- (0 1 0), 12.4 deg, I 68
- (0 1 -1), 13.4 deg, I 39
- (1 0 0), 15.7 deg, I 39
- (0 1 1), 20.3 deg, I 25
- (1 -1 2), 29.2 deg, I 50
- (2 -1 0), 29.9 deg, I 44
- (-2 1 1), 30.1 deg, I 43
- (1 2 -2), 31.6 deg, I 96
- (0 2 1), 31.7 deg, I 100
- (1 0 -3), 34.0 deg, I 100
- (1 -3 1), 34.5 deg, I 46
- (1 2 1), 41.0 deg, I 22

---

Ac3SnS6: computed powder diffraction line list (Cu Kα, 1.54184 Å), based on a cell relaxed with GGA-PBE.
Lines closer than 0.1° are merged.

Structural model:
```
data_Ac3SnS6
_cell_length_a 11.574
_cell_length_b 14.261
_cell_length_c 7.137
_cell_angle_alpha 90.00
_cell_angle_beta 90.00
_cell_angle_gamma 90.00
_symmetry_space_group_name_H-M 'C m c 21'
_symmetry_Int_Tables_number 36
loop_
_symmetry_equiv_pos_as_xyz
'x,y,z'
'-x,-y,z+1/2'
'-x,y,z'
'x,-y,z+1/2'
'x+1/2,y+1/2,z'
'-x+1/2,-y+1/2,z+1/2'
'-x+1/2,y+1/2,z'
'x+1/2,-y+1/2,z+1/2'
loop_
_atom_site_label
_atom_site_fract_x
........
2. Bachan Singh and others Vs. Financial Commissioner, Appeal (I), Punjab and others, 2008 (3) RCR (Civil) 887.
3. Baljit Singh Vs. Financial Commissioner, Animal Husbandry, Punjab, Chandigarh and others, 2012 (2) RCR (Civil) 384.
1. Prayer in this petition is for quashing of impugned order dated 18.05.2022 passed by respondent No.3-Naib Tehsildar-cum-Assistant Collector 2nd Grade, Ambala Cantt, vide which representation of the petitioners dated 10.10.2021 was rejected in pursuance to the directions given by this Court in CWP-4904-2022 vide order dated 12.05.2022.
2. On 30.06.2022, while issuing notice of motion, following order was passed: -
“...Learned senior counsel for the petitioners submits that disputed land, at one point of time, was owned by one Ami Singh, who died issueless and his wife Kalehri also died issueless on 19.09.1955. It is further submitted that Kalehri executed a Will in favour of her alleged adopted son Bhondu. The petitioners are sons/grandsons of Thakar Singh son of Bhondu and are owners of the land in dispute on the basis of Will dated 09.06.1917, which has been upheld by the Civil Court upto the Hon’ble Supreme Court. It is also submitted that initially, a suit was filed by the proprietary body of the village claiming a right over the property, as Kalehri died issueless and similarly, three suits were filed for redemption of the mortgage deed, which was allegedly created by Smt. Kalehri.
Learned senior counsel has referred to judgment of the Civil Court dated 14.08.1978, wherein issue No.7 with regard to Will was upheld in favour of Bhondu. He further referred to judgment of the lower appellate Court (Additional Sessions Judge, Ambala) dated 10.01.1980, wherein the findings recorded by the Civil Court with regard to aforesaid Will Ex.D3, were upheld by making the following observations: -
“...As such the principle of homogeneity was not applicable in the villages. It follows from it that the widow of Amit Singh namely Kalhari inherited full proprietary rights on the death of her husband as well as on the death of Hanso. There was absolutely no bar or responsibilities upon her to have any Will in favour of anybody she liked. In these circumstances, the Will made by Shrimati Kalhari Ex.D3, conferred all rights upon Bhondu which could acquire under Will. On his death, the rights were acquired by Thakur Singh and the present defendant-respondents have stepped into the shows of Thakur Singh. For those reasons, I uphold the conclusion arrived at by the learned trial Court, though for different reasons.”
It is further submitted that later on, four Regular Second Appeals were filed, which were decided together by this Court vide order dated 13.09.2006 and while upholding the Will in favour of Bhondu, the appeals were dismissed. The operative part of the judgment passed in RSAs reads as under: -
“...In the absence of any other heir, the reversionary right in the estate of Ami Singh could not be claimed by anyone. Therefore, Kalahari, wife of Amit Singh, would succeed as owner of the estate of her husband. The plaintiffs cannot claim any interest in the estate of deceased Amit Singh as he cannot be said to have died issueless and without any heir as Bhondu is the legal heir under a valid Will. Thus, as an owner, Kalahari was competent to execute the Will in favour of Bhondu. Thus, in respect of first substantial question of law, it is held that Kalahari would succeed as complete owner of the estate of her husband.
In respect of second substantial question of law, it may be seen that in Riwaj-i-am Exhibit P-5, the question which is sought to be answered is that if a person who dies without any issue and any Will (emphasis supplied), then who will succeed to his estate i.e. government or Patti or Taraf or Shamlat deh etc., or proprietors. The answer recorded is that the first right is of the proprietors of the Tholla, Patti and Shamlat deh in which the deceased has died. The proprietors of the same Gotar and the community of which the deceased reside in Tholla, Patti or Shamlat deh will succeed in the first instance. If there is anybody from the Gotar, then it goes to the community. The State has no right in the presence of people of the Gotra and the community. In the judgment reported as Badaman and others Vs. Net Ram alias Lali and others, 57 Punjab 1914, it was found that the general rule is that in the event of a proprietor dying without heirs, his estate ordinarily escheats to Government. When the plaintiffs claim a declaratory decree of right to succeed to the property of the deceased, they are bound to show that this general rule does not apply to their case. In the present case, Riwaj-i-am mentioned above is of no assistance to the appellants as the deceased has died leaving behind his widow who is absolute owner of the property in the absence of any reversioners. Thus, in respect of second substantial question of law, it is held that the plaintiffs cannot succeed to the estate of deceased Bhondu or Kalahari as she had died after the execution of a valid Will.
Thus, in view of my findings on substantial questions of law, I do not find any merit in the present appeal which is dismissed.”
Learned senior counsel has also submitted that later on, SLP (Civil) No.8072/2007 filed against the judgment dated 13.09.2006 was also dismissed on 16.05.2007. It is next submitted that grievance of the petitioners is that despite the verdict given by the Civil Court, which is upheld upto the Hon’ble Supreme Court, the revenue authorities are not sanctioning the mutation, therefore, they filed CWP-4904-2022, in which the Deputy Commissioner, Ambala was directed to appear before the Coordinate Bench and on 12.05.2022, respondent No.2-Deputy Commissioner, Ambala gave an undertaking that representation of the petitioners will be decided by passing a speaking order. Accordingly, the impugned order dated 18.05.2022 has been passed by the Assistant Collector 2nd Grade-cum-Naib Tehsildar, Ambala Cantt. rejecting representation of the petitioners.
It is further submitted that in total disgrace to judgment of the Civil Court, which is upheld upto the Hon’ble Supreme Court, Assistant Collector 2nd Grade-cum-Naib Tehsildar, Ambala Cantt. recorded his own finding that when the mutation application was given by Thakar Singh, same was objected by certain proprietors of the village and mutations were sanctioned in favour of proprietary body i.e. Malkan Jailkardeon 10.04.1961 and 02.02.1962, therefore, once these mutations were incorporated in the revenue record, same can only be set aside in terms of Section 45 of Punjab Land Revenue Act in a suit for declaration of right under the Specific Relief Act with regard to correction in the entry in the record.
On the face of it, the observations made in the impugned order are not only incorrect, but amount to contemptuous approach adopted by the Assistant Collector 2nd Grade-cum- Naib Tehsildar, as it is apparent from the record of civil litigation that the declaration has already been given in favour of predecessor of Bhondu that Kalehri had executed a valid Will on 09.06.1917 and he was succeeded by Thakar Singh, who is predecessor of the petitioners...”
3. In pursuance of the aforesaid order, Mr. Yashwant Singh, Naib Tehsildar-cum-Assistant Collector 2nd Grade, Ambala Cantt is present in the Court and on his instructions, learned State counsel submits that the impugned order rejecting the claim of the petitioners for non-sanctioning of mutation is based on two reasons: -
(a) When the mutation No.543 pertaining to Village Khuda and mutation No.735 pertaining to Village Manglai were sanctioned in the year 1967, Thakur Singh gave an application for sanctioning the mutation on the basis of Will dated 09.06.1917, but it is mentioned in those proceedings that Thakur Singh stated that he has no objection, if the mutations are entered in the name of Malkan Jailkarde. Since Bhondu died before Smt. Kalheri, lower appellate Court/Additional Sessions Judge, Ambala held that adoption of Bhondu by Kalheri is not proved.
(b) There is no declaratory decree in terms of Section 45 of Punjab Land Revenue Act, setting aside aforesaid two mutations dated 10.04.1961 and 02.02.1962, therefore, mutations cannot be sanctioned on the basis of judgment and decree referred to above.
4. Learned State counsel further submits that Naib Tehsildar-cum- Assistant Collector 2nd Grade, Ambala Cantt do not want to file an affidavit to this effect, as the same is already mentioned in the impugned order.
5. In reply, learned senior counsel for the petitioners, in support of his arguments, has relied upon a judgment of this Court in Sube Singh Vs. Financial Commissioner, Revenue, Haryana, 2001 (4) RCR (Civil) 766, to submit that it has been held by the Division Bench that the approach adopted by the revenue authorities ignoring the decree of Civil Court, merely because a subsequent suit is pending, is erroneous, as the revenue authorities have to sanction the mutation on the basis of Civil Court decree.
6. Learned senior counsel has further relied upon another judgment of Division Bench of this Court in Bachan Singh and others Vs. Financial Commissioner, Appeal (I), Punjab and others, 2008 (3) RCR (Civil) 887, wherein a similar view has been taken that the order passed by the Civil Court is binding on the revenue authorities and there is no requirement of a formal direction for incorporating the verdict of the Civil Court in the revenue record by sanctioning the mutation.
# Misplaced crystal structures
-- begin --
Diffraction record for KVHSe2O7. The powder XRD pattern is simulated, not measured: it uses the GGA+U geometry in the Materials Project and CuKα.
No peak broadening, texture or thermal motion is included.

```
data_KVHSe2O7
_chemical_formula_sum 'K2 V2 H2 Se4 O14'
_space_group_name_H-M_alt 'P 1 21/m 1'
_space_group_IT_number 11
_cell_length_a 4.1593
_cell_length_b 10.6228
_cell_length_c 7.9591
_cell_angle_alpha 90.00
_cell_angle_beta 96.84
_cell_angle_gamma 90.00
loop_
_space_group_symop_operation_xyz
'x,y,z'
'-x,-y,-z'
'-x,y+1/2,-z'
'x,-y+1/2,z'
loop_
_atom_site_label
_atom_site_fract_x
_atom_site_fract_y
_atom_site_fract_z
_atom_site_occupancy
K1 0.1001 0.2500 0.0529 1
V1 0.0505 0.7500 0.4426 1
H1 0.5000 0.0000 0.0000 1
Se1 0.2905 0.5113 0.6895 1
O1 0.0159 0.1171 0.3805 1
O2 0.0729 0.1208 0.7395 1
O3 0.3847 0.5735 0.8921 1
O4 0.4526 0.7500 0.4521 1
```

Principal peaks in the range 10° ≤ 2θ ≤ 90°, most intense first:
2θ 28.15, I = 100, (0 2 2)
2θ 11.20, I = 80, (0 0 1)
2θ 23.08, I = 78, (1 0 -1)
2θ 28.62, I = 73, (1 2 -1)
2θ 30.63, I = 56, (1 2 1)
2θ 27.36, I = 39, (1 2 0)
2θ 34.01, I = 34, (0 0 3)
2θ 45.33, I = 31, (1 4 -2)
2θ 33.75, I = 28, (0 4 0)
2θ 42.79, I = 28, (1 4 1)

=====

Diffraction record for CuHgMo2. The X-ray powder pattern is computed, not measured: it uses DFT lattice parameters and positions (PBE) and λ = 1.5418 Å (Cu Kα).
No peak broadening, texture or thermal motion is included.

Structure:
```
data_CuHgMo2
_chemical_formula_sum 'Cu2 Hg2 Mo4'
_cell_length_a 3.2711
_cell_length_b 4.4768
_cell_length_c 8.9904
_cell_angle_alpha 90.00
_cell_angle_beta 90.00
_cell_angle_gamma 90.00
_space_group_name_H-M_alt 'C m m 2'
_space_group_IT_number 35
loop_
_space_group_symop_operation_xyz
'x,y,z'
'-x,-y,z'
'-x,y,z'
'x,-y,z'
'x+1/2,y+1/2,z'
'-x+1/2,-y+1/2,z'
'-x+1/2,y+1/2,z'
'x+1/2,-y+1/2,z'
loop_
_atom_site_label
_atom_site_type_symbol
_atom_site_fract_x
_atom_site_fract_y
_atom_site_fract_z
Cu1 Cu 0.0000 0.0000 0.0000
Hg1 Hg 0.0000 0.5000 0.2535
Mo1 Mo 0.0000 0.0000 0.5341
Mo2 Mo 0.0000 0.5000 0.7710
```

Principal peaks in the range 2θ from 10° to 80°, by intensity:
- d = 2.277 Å, I = 100, (1 1 2)
- d = 2.238 Å, I = 24, (0 2 0)
- d = 2.248 Å, I = 22, (0 0 4)
- d = 1.300 Å, I = 16, (1 3 2)
- d = 1.586 Å, I = 15, (0 2 4)
- d = 1.303 Å, I = 13, (1 1 6)
- d = 4.495 Å, I = 12, (0 0 2)
- d = 2.534 Å, I = 11, (1 1 1)
- d = 1.636 Å, I = 9, (2 0 0)
- d = 1.321 Å, I = 9, (2 2 0)

---

Diffraction record for HfNpO6. The X-ray powder pattern is computed, not measured: it uses DFT lattice parameters and positions (PBE) and λ = 1.5418 Å (Cu Kα).
No peak broadening, texture or thermal motion is included.

Structure:
```
data_HfNpO6
_chemical_formula_sum 'Hf3 Np3 O18'
_cell_length_a 5.7610
_cell_length_b 5.7610
_cell_length_c 14.1241
_cell_angle_alpha 90.00
_cell_angle_beta 90.00
_cell_angle_gamma 120.00
_space_group_name_H-M_alt 'R -3'
_space_group_IT_number 148
_space_group_name_Hall '-R 3'
loop_
_atom_site_label
_atom_site_type_symbol
-- stop --
7. Learned senior counsel has also relied upon judgment in Baljit Singh Vs. Financial Commissioner, Animal Husbandry, Punjab, Chandigarh and others, 2012 (2) RCR (Civil) 384, wherein this Court has held that where under Section 34 of Punjab Land Revenue Act, mutation of inheritance is sanctioned ignoring the Civil Court decree, a revenue officer has no jurisdiction to disregard the judgment and decree passed by the Civil Court.
8. Learned senior counsel has next relied upon judgment in Rajesh Kumar Vs. Financial Commissioner and others, 2009 (11) RCR (Civil) 316 = 2009(2) L.A.R. 336 = (2009) Law Today Live Doc. Id. 13415, wherein this Court held that the mutations according to decree of the Court are to be given effect, even if an appeal is pending against the decree and the revenue authorities are not bound to wait for order of the Court.
9. It is argued that in this case, both the proprietary body as well as private individuals, who were contesting against the petitioners, lost their cases upto the Hon’ble Supreme Court, therefore, on all counts, Naib Tehsildar-cum-Assistant Collector 2nd Grade, Ambala Cantt has erroneously ignored the Civil Court decree, as upheld upto the Hon’ble Supreme Court. It is further submitted that the ground taken by Naib Tehsildar-cum-Assistant Collector 2nd Grade, Ambala Cantt is that earlier mutations sanctioned in the year 1961-62 were already put up as defence before the Civil Court and once the Will dated 09.06.1917 in favour of Bhondu was upheld, those two mutations No.543 and 735 loose their sanctity. It is also argued that during the aforesaid mutation proceedings, it is recorded that Thakur Singh made some concession, also stands tested by the Civil Court and this ground was never upheld by the Civil Court.
10. The next ground taken by Naib Tehsildar-cum-Assistant Collector 2nd Grade, Ambala Cantt that no specific suit for declaration under Section 45 of Punjab Land Revenue Act has been filed challenging the mutations and for setting aside the same, is totally illogical and illegal, as once the decree has been passed, in which predecessor of the petitioners Bhondu was held to be owner of the land by way of Will dated 09.06.1917, it amounts to declaration regarding their title over the land in dispute.
11. After hearing learned counsel for the parties, I find merit in the present writ petition. None of the reasons given in the impugned order dated 18.05.2022 passed by Naib Tehsildar-cum-Assistant Collector 2nd Grade, Ambala Cantt are sustainable in the eyes of law, in view of the observations made above.
12. Naib Tehsildar-cum-Assistant Collector 2nd Grade, Ambala Cantt has daringly ignored the judgment of the Civil Court, holding the Will dated 09.06.1917 to be a valid Will in favour of predecessor of the petitioners and this finding is upheld upto the Hon’ble Supreme Court. Therefore, it is duty of revenue officials to incorporate the decree in the revenue record in letter and spirit and the impugned order dismissing the application for entering the mutations, cannot be upheld in any manner. Though this Court finds that the impugned order has been passed to violate the mandate of the decree, however, instead of initiating contempt proceedings, one opportunity is granted to Naib Tehsildar-cum-Assistant Collector 2nd Grade, Ambala Cantt to pass a fresh order, strictly in compliance of the decree dated 14.08.1978, as upheld upto the Hon’ble Supreme Court of India.
13. Accordingly, this petition is allowed and the impugned order dated 18.05.2022 is set aside and Naib Tehsildar-cum-Assistant Collector 2nd Grade, Ambala Cantt is directed to sanction the mutations in terms of the Civil Court decree dated 14.08.1978 in letter and spirit, within a period of 15 days from the date of receipt of certified copy of this order.
Petition allowed.